December |
December 1 | December 2 | December 3 | December 5 | December 7 | December 8 | December 9 | December 14 | December 15 | December 18 | December 22 | December 23 | December 30 December 30, 2003: There seems to be an increase in trade scams recently, so we'd like to warn you to be extra careful. Some dishonest players in RuneScape are tricking other players in the game by changing quantities at the very last minute causing the other player to receive much less than they expected. So for example they offer 4 million coins, and then at the last second just as you are pressing accept they change it to 400K coins, and hope you won't notice. Therefore you need to read the trade confirmation screen very carefully!. Double check that you getting the number you expect. Some players are failing to notice the number has lost a zero off the end, and are getting scammed. Make sure that you read the trade confirmation thoroughly before clicking the accept button, never be persuaded to click through the windows quickly. To help you out, we have just made some changes to the confirm screen to make the amounts more obvious. Amounts are now color-coded, separated with commas, and written in both words and numbers! This will hopefully make the above scam much less effective, but you should still be careful. December 23, 2003: Last night saw 22,000 simultaneous players, and things were getting a bit crowded! Therefore I've added some more RS1 worlds for you to play on. All the worlds are in 'San Jose'. There are 3 free worlds, and 1 members world. Hope you enjoy them! December 22, 2003: This is just a quick note to say that there aren't going to be any RuneScape items dropped at Christmas. I really don't like having to say this, but I can't see any sensible alternative. This is because the last few drops actually caused a lot of upset, and resulted in a *huge* number of complaints from players who didn't manage to get an item (or didn't get as many as their mates). Many players seemed to get really upset about the drop which is of course the exact opposite of the intended effect. These drops used to be fun, when we started them - because they were a surprise, and nobody took them too seriously. They were just a little bit of extra fun for people who were around at the time. However nowadays many players seem to expect the 'surprise' drop to happen, and so it just doesn't work the same. Please don't go complaining to customer-support or moaning on the forums about the Christmas drop. It won't change anything. Of course I'm expecting we'll get lots of complaints whatever we do :-( Which just goes to prove how horribly wrong the whole holiday-drop thing has become. The more complaints we get the more it proves to me that we really need to just stop the whole holiday-drop thing before the situation gets even worse. On a more positive note, we are instead going to focus our time & efforts on improving the game in other exciting ways, and working on getting RS2 ready for launch early next year. December 18, 2003: Today we have introduced the following additions and improvements to Runescape 2:
Someone pasted records of molecules at this point:
=====
A | Here is a cluster of 2 separate species, C4H12NO in total from the Open Molecules 2025 dataset. Energies are from ωB97M-V with the def2-TZVPD basis set.

Geometry (Å):
C 0.82 -0.75 0.38
N 0.39 0.52 -0.54
C -0.90 0.85 0.15
C -0.70 0.65 1.65
C 0.64 -0.18 1.72
H 1.87 -0.85 0.05
H 0.16 -1.57 0.14
H 1.31 1.07 -0.57
H 0.19 0.17 -1.50
H -1.33 1.74 -0.31
H -1.65 0.11 -0.22
H -1.60 0.31 2.16
H -0.50 1.55 2.30
H 1.38 0.52 2.12
H 0.40 -0.90 2.51
H 0.14 -0.91 -4.04
H -0.58 -1.57 -2.93
O -0.05 -0.78 -3.09

Results
Gap between HOMO and LUMO (alpha / beta): 3.504 / 12.037 eV
LUMO level (alpha / beta): 0.02686 / 0.01729 Eh
Spin multiplicity: 2

=====

B | Here is a cluster of 2 separate species, C4H12NO in total from the Open Molecules 2025 dataset. Energies are from ωB97M-V with the def2-TZVPD basis set.

Geometry (Å):
C -0.51 -1.54 -1.06
N 0.08 -0.37 -1.75
C 0.41 0.71 -0.73
C -0.12 0.20 0.59
C -0.31 -1.34 0.42
H -1.56 -1.69 -1.28
H -0.08 -2.44 -1.52
H -0.57 0.01 -2.49
H 0.95 -0.63 -2.29
H -0.09 1.59 -1.10
H 1.49 0.78 -0.74
H 0.63 0.26 1.38
H -1.09 0.61 0.84
H -1.19 -1.61 1.00
H 0.47 -1.91 0.91
H -0.13 2.24 2.16
H 0.88 2.55 3.30
O 0.75 2.58 2.35

Results
Gap between HOMO and LUMO (alpha / beta): 4.088 / 12.261 eV
LUMO level (alpha / beta): 0.02497 / 0.01998 Eh
Spin multiplicity: 2

=====

B comes first in stability; the runner-up is 16.0 kcal/mol higher.

----------

1.
Formula: C27H35AlF4N7O4SSe
Source: OMol25
Level of theory: ωB97M-V with the def2-TZVPD basis set

Output
**Spin multiplicity**: 1
**Highest occupied orbital energy**: -0.400 Ha
**M**: 735.6 g mol⁻¹
**Calculated total energy**: -140832.58711 eV
**Orbital gap**: 8.6 eV
**Net charge**: +1

XYZ file:
```
80
Properties=species:S:1:pos:R:3:mulliken_charge:R:1
Al -0.20956 -0.45974 1.28389 -1.14
C -0.32553 -0.13272 4.28580 -0.98
N -0.50629 -1.19482 3.25289 0.68
C -1.71066 -1.96649 3.60380 -1.08
C 0.62824 -2.12707 3.25382 -1.01
C 1.92452 -1.42103 2.79039 -0.72
N 1.54364 -0.34211 1.85178 1.72
C 2.46570 0.66816 1.68136 0.35
C 2.08175 1.98328 1.44177 -0.55
F 0.76481 2.30139 1.41099 0.09
C 2.98376 3.01821 1.33363 0.24
F 2.47873 4.24987 1.13507 -0.35
C 4.33785 2.86205 1.43233 -0.76
C 4.73456 1.56050 1.73663 0.57
F 6.03625 1.38733 1.95658 -0.35
C 3.84177 0.51115 1.82130 -0.25
F 4.38245 -0.71555 2.06321 -0.46
H -0.00135 -0.53608 5.23030 0.36
H -1.23218 0.43321 4.43381 0.37
H 0.45721 0.56665 3.98776 0.22
H -1.57018 -2.40887 4.58512 0.45
H -1.87466 -2.75177 2.87405 0.25
H -2.62479 -1.34892 3.67130 0.33
H 0.35509 -2.93792 2.55632 0.36
H 0.80829 -2.58606 4.24318 0.49
H 2.54038 -2.18207 2.36184 0.35
H 2.45259 -1.03250 3.66125 0.44
H 5.01151 3.70258 1.33466 0.55
O 0.38413 -3.62132 -0.24042 -0.62
C -0.64355 -2.97543 -0.23682 -0.18
O -0.84537 -1.97526 0.61155 1.21
C -1.72427 -3.23318 -1.25207 0.52
C -2.95475 -2.57331 -1.16016 -0.66
C -3.92010 -2.78627 -2.14511 -0.78
C -3.67415 -3.60861 -3.24404 -0.53
C -2.43396 -4.25033 -3.28963 -0.19
C -1.45937 -4.07594 -2.33293 -0.32
N -2.09634 -5.08562 -4.49858 1.02
=====
We have fixed the following bugs:
December 15, 2003: Hi - today we have expanded the RS2 map area, to include Seers village, Camelot, Catherby and Brimhaven. This includes the following quests: This area also includes shark fishing, big net fishing and magic trees. There are lots more areas which are almost ready, expect the heros quest and the family crest quest to be in the game soon. December 14, 2003: We have recently fixed the following bugs in RS2:
Following player feedback we have also
_Unrelated to this article: molecular data_
=====
{
  "formula": "C15H12Br2N4O4SV",
  "method": "the ωB97M-V functional and the def2-TZVPD basis",
  "orbital_gap_ev": [5.84, 6.15],
  "spin_multiplicity": 2,
  "e_above_lowest_kj_mol": 48.5,
  "s2": 0.76,
  "charge": 2,
  "homo_energy_ev": [-14.4, -14.4],
  "symbols": ["Br", "Br", "V", "S", "O", "O", "O", "O", "N", "N", "N", "N", "C", "C", "C", "C", "C", "C", "C", "C", "C", "C", "C", "C", "C", "C", "C", "H", "H", "H", "H", "H", "H", "H", "H", "H", "H", "H", "H"],
  "positions_angstrom": [[0.20433, -1.53783, 2.37943], [-6.40392, -1.57266, 1.84993], [1.08466, 0.69974, -0.27918], [2.00595, -1.24311, -1.10402], [3.72091, 3.35775, 0.55868], [2.34673, 1.81266, -0.44073], [-1.88525, -1.11202, -1.35398], [-0.51842, 0.24687, -0.24283], [1.81468, 0.59675, 1.61168], [1.11526, -0.00733, -3.37315], [-3.53730, 1.31816, 2.38408], [0.87066, -2.17592, -3.35715], [2.07965, -0.07970, 3.88165], [1.48294, -0.20517, 2.63218], [1.30746, -1.13929, -2.69220], [-4.62726, 0.55128, 2.46487], [-3.91486, -0.88512, 0.69654], [-4.85025, -0.55608, 1.64608], [2.79533, 1.53484, 1.82686], [3.43521, 1.69841, 3.01528], [3.08001, 2.38474, 0.62638], [0.22931, -1.79180, -4.63088], [-1.80506, -0.39840, -0.41841], [-2.77841, -0.08409, 0.60557], [3.06059, 0.86923, 4.07565], [-2.63380, 0.99715, 1.46891], [0.58989, -0.29503, -4.73106], [-0.26965, 0.33036, -4.94739], [3.53676, 0.96768, 5.04288], [1.36591, -0.10710, -5.46939], [-0.84329, -1.95248, -4.55367], [-4.04824, -1.73853, 0.04445], [-1.76787, 1.64594, 1.41784], [1.77093, -0.74156, 4.67760], [1.67369, 0.81821, -3.20461], [0.62495, -2.38196, -5.45121], [4.20227, 2.45620, 3.10721], [-5.36119, 0.82871, 3.21140], [0.84669, -3.10948, -2.97529]],
  "atomic_forces_ev_per_a": [[-0.007, -0.033, -0.030], [-0.103, -0.048, 0.029], [0.364, -2.461, -0.044], [0.092, 0.085, 0.015], [0.256, 0.149, -0.219], [1.247, 2.239, -0.253], [0.023, -0.262, -0.306], [-1.949, 0.350, 0.113], [0.437, 0.153, 0.433], [-0.077, 0.240, -0.014], [-0.154, -0.305, -0.141], [-0.040, -0.103, -0.153], [0.095, -0.008, 0.106], [-0.040, 0.079, -0.144], [-0.034, 0.021, 0.078], [0.188, 0.248, 0.055], [0.014, -0.106, -0.156], [-0.112, 0.010, 0.114], [-0.339, -0.200, -0.318], [0.088, 0.068, 0.190], [-0.421, -0.394, 0.186], [0.061, 0.054, 0.102], [0.352, 0.076, -0.111], [0.016, 0.193, 0.212], [0.002, -0.005, 0.053], [-0.043, 0.122, 0.169], [0.017, -0.067, 0.076], [-0.042, 0.002, 0.000], [-0.007, -0.007, -0.019], [0.047, 0.011, -0.005], [-0.041, -0.010, 0.027], [-0.007, 0.040, -0.017], [0.043, 0.004, -0.037], [0.006, -0.001, 0.007], [0.111, -0.141, -0.053], [0.029, -0.003, -0.033], [-0.023, -0.007, 0.018], [0.003, -0.007, 0.023], [-0.053, 0.024, 0.048]]
}

***

{
  "formula": "C4H14N2O2",
  "method": "the ωB97M-V functional and the def2-TZVPD basis",
  "orbital_gap_ev": 8.91,
  "e_above_lowest_kj_mol": 141.7,
  "homo_energy_ev": -8.1,
  "smiles": "N/C=C/CCN.O.O",
  "symbols": ["O", "O", "N", "N", "C", "C", "C", "C", "H", "H", "H", "H", "H", "H", "H", "H", "H", "H", "H", "H", "H", "H"],
=====
December 9, 2003: Hi - today we uploaded some more bug fixes
Also... We have updated our security tips to give advice on how best to keep your system free of unwanted advertising and tracking software (commonly known as 'spyware'). If you are still seeing multiple pop-up adverts when you visit our website it is NOT coming from us, but is probably coming from a program which you may have picked up from a third-party website. If you are seeing annoying pop-up adverts when visiting us, and want to remove them - then we recommend you read our updated security tips for info on how. December 8, 2003: As expected the number of players on our RuneScape2 Beta worlds has now calmed down a little, so we have reduced the number of servers back down to a number more suited to the number of people playing. What we really need to do is test how the game behaves with slightly more crowded worlds. Since it's important to keep the testing conditions realistic - compared to how they will be for the final release. It's also obviously also not so much fun if the world you are on is almost totally empty and there is nobody to interact with. So this change should help both us and you. Andrew December 7, 2003: It has come to our attention that one of the advertising agencies that supplies adverts for our website has been careless and was running an advert which causes multiple pop-up windows and/or virus false-alerts. We are obviously extremely annoyed at the advert-agency for allowing this to happen. We know how annoying pop-up adverts are, and explicitly told them they must not run them. We have now fixed this problem by disabling ALL adverts from this advert agency. All their adverts and code have been removed from our site in response, so the problem should no longer occur. If you are still seeing pop-up windows at then try rebooting your computer. If the problem still persists then let us know, remembering to tell us the name of the advert causing the problem. Also I'd like to reassure players that if they saw a warning about a virus called "JS/NoClose" they do not need to worry too much. This is not a real virus, but rather a way of opening many pop-up windows. It does not cause any other damage or problems, and I believe all you have to do to erase it is reboot your computer. So if you are seeing these warnings, please reboot your machine. If the problem persists after reboot then let us know. I sincerely apologize for this. Like I say I'm severely disappointed with the advert-agency for doing this. I'll do what I can to make sure it doesn't happen again. Andrew December 5, 2003: Today's RS2 fixes and changes:
We also fixed a number of typos and small graphical issues which are not worth listing. Also
by popular request - the following monsters shouldn't block your way any more:
**Next to the page, the page also holds quantum chemistry results**
____________
Formula: C32H91N7O11
Source: OMol25
Level of theory: wB97M-V/def2-TZVPD

Element x y z (Å)
H 1.419 31.220 -9.927
H -2.442 34.782 -1.726
N 0.693 38.895 -5.160
C 2.196 27.030 -9.886
H -1.534 36.220 0.097
C -1.062 28.062 2.743
H 5.309 31.320 3.145
C 1.632 38.058 -4.403
H -5.200 33.541 -3.654
H 3.576 32.763 2.744
C 5.685 32.941 2.118
O -4.274 22.841 -6.562
O 7.790 33.987 3.095
H 6.884 31.535 2.950
H 8.241 28.150 -2.713
C 8.279 34.640 1.945
O -7.641 25.125 -2.001
H -1.778 29.228 -2.796
H -3.105 24.279 -4.094
H 6.100 33.252 1.160
H -0.602 28.074 3.732
C -2.296 30.196 3.329
H 0.077 24.932 2.106
H 1.438 29.978 -8.642
O -1.098 26.684 2.286
C -2.814 23.321 -3.661
H 3.835 33.970 1.587
H 2.537 29.684 -11.898
H 9.068 29.954 -3.763
H -3.833 20.187 -3.732
C 3.391 38.064 -1.927
H -9.938 31.739 -5.274
H -4.250 34.718 -4.057
H -7.677 25.613 -2.827
H 3.202 39.122 -1.750
H -2.669 36.640 1.396
C 4.222 33.000 1.899
C -2.556 36.526 0.318
H -4.103 28.388 4.050
H -2.928 28.706 1.959
H 2.475 31.323 -8.404
H 5.717 28.845 -0.999
N 6.007 31.540 2.449
H 3.631 28.455 -11.534
H -5.910 28.162 -7.734
C -2.446 28.752 2.935
C -3.403 35.262 -1.543
H -7.441 26.581 -6.865
H -3.480 20.931 -6.271
H -3.351 36.206 -2.085
H -6.281 26.379 -1.324
H -7.253 28.772 -8.602
O -3.427 35.533 -0.133
C 2.873 29.077 -11.058
H 3.592 38.448 -5.159
O 3.807 37.912 -3.263
H 0.038 29.298 -3.073
H -6.179 29.922 -7.763
H 0.554 36.290 -5.000
H 2.759 26.328 -10.501
H 1.339 26.605 -9.362
H -5.543 32.397 -1.719
O -1.054 30.514 -4.162
H -0.692 30.548 -2.145
C 7.691 29.090 -2.757
H -5.143 33.225 -0.231
H -2.774 37.409 -0.284
N -8.086 27.339 -6.692
H -1.547 30.698 2.716
H -4.520 22.256 -4.171
N -3.073 20.851 -3.692
N -3.181 27.994 3.931
C -3.463 22.087 -4.376
H -0.168 38.442 -5.430
C 3.040 38.623 -4.236
O 1.802 28.189 -10.702
H 4.626 31.537 -9.707
C 6.321 33.939 3.204
H 7.923 29.728 -1.904
H 0.960 26.330 2.617
C -4.231 22.864 -7.986
H -4.923 23.558 -8.464
C 1.594 36.612 -4.934
H 1.071 38.887 -6.096
N -4.320 33.962 -3.392
H 4.028 32.277 1.106
C -4.817 33.068 -1.259
H 5.000 30.406 -10.804
C -9.209 31.938 -6.061
H -6.932 25.439 -0.052
H 5.601 29.677 -3.150
O 5.657 28.212 -1.719
H -8.637 27.355 -7.538
H 6.113 28.160 -3.736
H 7.712 35.520 1.639
H -8.830 32.959 -6.020
H -4.324 21.924 -8.530
H 5.902 34.943 3.140
H 6.180 33.620 4.237
C -7.475 28.652 -6.388
H -3.266 23.382 -2.672
H 2.151 35.927 -4.295
H -5.475 34.979 -2.056
H 0.467 26.231 0.964
H -9.410 29.363 -6.965
C 2.036 30.707 -9.189
H -3.240 30.738 3.277
H -3.219 23.132 -8.289
H 2.443 37.567 -1.720
H 1.164 38.035 -3.419
H 3.088 39.694 -4.036
C -8.672 29.582 -6.193
H 8.270 33.946 1.105
O 8.116 29.848 -3.827
H -0.424 28.632 2.068
C 0.135 26.013 1.979
H -3.887 32.512 -1.142
H 2.049 36.598 -5.924
H -3.000 20.977 -2.693
H -1.743 23.264 -3.468
H 2.798 27.413 -9.062
N 4.237 30.956 -10.436
H 3.736 29.370 -9.140
H -3.361 27.060 3.590
C -6.665 28.948 -7.702
C -3.351 21.963 -5.945
H 9.315 34.976 1.990
H 4.161 37.744 -1.225
H -2.359 22.244 -6.297
H -7.882 26.818 -0.706
____________
hobgoblins, all types of spider, white wolves and greater demons. December 3, 2003: Well we said we were going to be fixing more bugs in RuneScape2, so here is the second batch.
Also by popular demand we have added some flax to Taverley so people can try out ranging and fletching properly. As we said yesterday, thank you to the many players who have been giving us constructive feedback - you can expect continued fixes and changes. December 2, 2003: Hi - we've updated the RuneScape 2 Frequently Asked Questions page to answer some of the more common queries that players have been asking about the RS2 beta. You can find the RS2 FAQ in the same place as before, in the 'F.A.Q.' section linked from our front page. It's certainly worth having a look at this if you're not aware of some of the in-game text effects that RS2 offers! Thanks for all your feedback, today we have fixed several RS2 bugs.
Obviously there is still a lot to work on. So we'll keep at it. This is a very complex game indeed, and we're expecting to fix/improve many more things yet. December 1, 2003: We have added another three worlds to the RuneScape 2 beta to add more capacity for downloading and playing RS2. We were also experiencing some bandwidth problems with our servers located at San Jose, but these have now been resolved. Thanks to all of our members who have been very patient in waiting to download the RuneScape2 client - our servers were always going to be very busy with so many of you wanting to download the game right from the start! We are very pleased to announce that the RuneScape2 Beta has launched! For the moment, only RuneScape Members can access this exclusive beta by clicking the link at the top of our front page. Important Note! Since the RuneScape2 game window is larger than before, we advise that users running at a resolution of 800x600 use Internet Explorer's fullscreen option (press F11 or select 'View -> Full Screen') and then auto-hide the top navigation bar by right clicking on it and selecting 'auto-hide'. Oh,
and if you want to talk in color try: We hope that you enjoy testing RS2 - please send all feedback/bugs for this RS2 beta to our Forums rather than via Customer Support. Thanks, Andrew and the RuneScape Team |